Mikser counters Reinsalu's move for quick points

Joosep Värk
, reporter
Please note that the article is more than five years old and belongs to our archive. We do not update the content of the archives, so it may be necessary to consult newer sources.
Photo: Mihkel Maripuu

The government does not support the justice minister's opinion on what to do with the registered partnership act that comes two months too late. Minister of Justice Urmas Reinsalu (IRL) returned from holiday last week and communicated his ministry's opinion of draft legislation by the Conservative People's Party (EKRE) to repeal Estonia's registered partnership act. Despite an existing agreement, the minister could not resist an attempt to score some quick political points.

Reinsalu's ministry was supposed to form an opinion of the bill nearly two months ago, by June 8, when the opinions of the interior and social affairs ministries were communicated by ministers Andres Anvelt and Jevgeni Ossinovski. However, the matter could not be added to the government's agenda as the opinion of the key ministry was missing.

Reinsalu shelved the matter until Sunday last when ETV news program «Aktuaalne kaamera» reported the justice ministry will approve the bill. «Rule of law requires legal clarity. The cohabitation act has not been given content through valid implementing provisions. 99 percent of legal relations the law, as a contractual act, regulates can be entered into without the legal basis it provides, which is to say the step is purely legal,» Reinsalu explained, and added that the ministry's position is clear and unequivocal.

The professional opinion of ministry officials remains somewhat less clear. The ministry initially sent out an opinion bearing Reinsalu's signature that said the government should approve the implementing provisions, while it sent out the diametrically opposite position of the minister the very next day. Information available to Postimees suggests officials once again submitted a written position against repealing the registered partnership act that was then rewritten by Reinsalu.

When the matter became public, it sparked a sharp comment from Minister of Foreign Affairs Sven Mikser (SDE). He wrote that Reinsalu's statement, wrapped in a shroud of legal jargon as it might be, to support EKRE's bill falls in the same category as IRL's proposals to ban burqas and demand Moscow pay Estonia damages for the Soviet occupation. «These are attempts to deliver the party's sinking ship by virtue of isolated populist screams that fail to form an ideological whole or result in any kind of systematic action,» Mikser wrote on social media.

[What comes next are records of crystals, not part of the piece]
********
## SmCd3 (PBE)

Data for SmCd3 after structural relaxation.

Results
crystal system	cubic
mass density	8.401	g/cm3
energy of formation	-0.30	eV/atom

Unit cell a=7.278 b=7.278 c=7.278 alpha=90.00 beta=90.00 gamma=90.00
Space group Fm-3m (No. 225)
Asymmetric unit:
Sm1 0.000 0.000 0.000 (multiplicity 4)
Cd1 0.000 0.000 0.500 (multiplicity 4)
Cd2 0.250 0.250 0.250 (multiplicity 8)

## Ca3SnF6 (PBE)

Data for Ca3SnF6 after structural relaxation.

Results
crystal system	triclinic
mass density	2.368	g/cm3
ΔE to the lowest computed polymorph	157	meV per atom
energy of formation	-3.26	eV/atom

Unit cell a=6.319 b=6.745 c=6.982 alpha=64.15 beta=83.56 gamma=67.84
Space group P-1 (No. 2)
Asymmetric unit:
Ca1 0.000 0.000 0.000 (multiplicity 1)
Ca2 0.000 0.000 0.500 (multiplicity 1)
Ca3 0.500 0.500 0.000 (multiplicity 1)
Sn1 0.000 0.500 0.500 (multiplicity 1)
F1 0.202 0.041 0.209 (multiplicity 2)
F2 0.221 0.583 0.201 (multiplicity 2)
F3 0.264 0.852 0.776 (multiplicity 2)

## CeMg3 (PBE)

Data for CeMg3 after structural relaxation.

Results
crystal system	orthorhombic
mass density	3.227	g/cm3
energy of formation	0.10	eV/atom

Unit cell a=3.181 b=11.486 c=6.000 alpha=90.00 beta=90.00 gamma=90.00
Space group Imm2 (No. 44)
Asymmetric unit:
Ce1 0.000 0.000 0.000 (multiplicity 2)
Mg1 0.000 0.244 0.338 (multiplicity 4)
Mg2 0.000 0.500 0.004 (multiplicity 2)

## InTe5Pb4 (PBE)

Data for InTe5Pb4 after structural relaxation.

Results
crystal system	trigonal
mass density	7.637	g/cm3
energy of formation	-0.36	eV/atom

Unit cell a=4.5884 b=4.5884 c=56.5848 alpha=90.00 beta=90.00 gamma=120.00
Space group R-3m (No. 166, hexagonal axes)
Asymmetric unit:
In1 0.0000 0.0000 0.0000 (multiplicity 3)
Te1 0.0000 0.0000 0.1003 (multiplicity 6)
Te2 0.0000 0.0000 0.3000 (multiplicity 6)
Te3 0.0000 0.0000 0.5000 (multiplicity 3)
Pb1 0.0000 0.0000 0.2002 (multiplicity 6)
Pb2 0.0000 0.0000 0.3986 (multiplicity 6)

## Zr7N2O11 (PBE)

Data for Zr7N2O11 after structural relaxation.

Results
crystal system	triclinic
mass density	5.743	g/cm3
energy of formation	-3.37	eV/atom

Unit cell a=8.158 b=8.182 c=8.202 alpha=73.16 beta=72.95 gamma=72.69
Space group P1 (No. 1)
Asymmetric unit:
Zr1 0.000 0.000 0.000 (multiplicity 1)
Zr2 0.005 0.841 0.637 (multiplicity 1)
Zr3 0.090 0.582 0.288 (multiplicity 1)
Zr4 0.156 0.387 0.923 (multiplicity 1)
Zr5 0.211 0.185 0.587 (multiplicity 1)
Zr6 0.321 0.948 0.246 (multiplicity 1)
Zr7 0.395 0.695 0.888 (multiplicity 1)
Zr8 0.439 0.499 0.539 (multiplicity 1)
Zr9 0.523 0.317 0.176 (multiplicity 1)
Zr10 0.605 0.098 0.794 (multiplicity 1)
Zr11 0.688 0.883 0.411 (multiplicity 1)
Zr12 0.749 0.700 0.043 (multiplicity 1)
********

Mikser wrote that mortal fear causes panic, and that it is every bit as true concerning political parties. «A state of panic is obviously not ideal for sober analysis, while the latter would quickly lead IRL to conclude that its rare successes of the past few years have not come courtesy of trying to mimic EKRE's medieval understanding of traditional family values or win the race for the title of «most nationalist» party,» he wrote.

-- Materials data, kept here for reference --
'''
Record 1
VASP calculation (PBE-GGA) on Rb3BiF6 after structural relaxation.

Computed properties:
The electronic total energy comes out at -43.7 eV/cell. The calculated formation energy comes out at -28.16 eV/f.u. The calculation puts the total energy after the MP2020 corrections at -46.5 eV per cell.

```
data_Rb3BiF6
_space_group_name_H-M_alt 'P -1'
_space_group_IT_number 2
_cell_length_a 7.265
_cell_length_b 7.285
_cell_length_c 7.530
_cell_angle_alpha 100.33
_cell_angle_beta 111.11
_cell_angle_gamma 102.79
loop_
_space_group_symop_operation_xyz
'x,y,z'
'-x,-y,-z'
loop_
_atom_site_label
_atom_site_fract_x
_atom_site_fract_y
_atom_site_fract_z
Rb1 0.000 0.000 0.000
Rb2 0.000 0.500 0.500
Rb3 0.500 0.000 0.500
Bi1 0.000 0.000 0.500
F1 0.019 0.770 0.263
F2 0.210 0.218 0.415
F3 0.260 0.915 0.709
```

Record 2
VASP calculation (PBE-GGA) on RbBiF6 after structural relaxation.

Computed properties:
The electronic total energy comes out at -101.5 eV/cell. The calculated formation energy comes out at -20.24 eV/f.u. The calculation puts the total energy after the MP2020 corrections at -109.8 eV per cell.

```
data_RbBiF6
_space_group_name_H-M_alt 'R -3'
_space_group_IT_number 148
_space_group_name_Hall '-R 3'
_cell_length_a 8.0320
_cell_length_b 8.0320
_cell_length_c 8.1603
_cell_angle_alpha 90.00
_cell_angle_beta 90.00
_cell_angle_gamma 120.00
loop_
_atom_site_label
_atom_site_fract_x
_atom_site_fract_y
_atom_site_fract_z
Rb1 0.0000 0.0000 0.0000
Bi1 0.0000 0.0000 0.5000
F1 0.0751 0.2313 0.6505
```

Record 3
VASP calculation (PBE-GGA) on Rb3BiF6 after structural relaxation.

Computed properties:
The electronic total energy comes out at -176.9 eV/cell. The calculated formation energy comes out at -28.68 eV/f.u. The calculation puts the total energy after the MP2020 corrections at -188.0 eV per cell.

```
data_Rb3BiF6
_space_group_name_H-M_alt 'F m -3 m'
_space_group_IT_number 225
_space_group_name_Hall '-F 4 2 3'
_cell_length_a 9.889
_cell_length_b 9.889
_cell_length_c 9.889
_cell_angle_alpha 90.00
_cell_angle_beta 90.00
_cell_angle_gamma 90.00
loop_
_atom_site_label
_atom_site_fract_x
_atom_site_fract_y
_atom_site_fract_z
Rb1 0.000 0.000 0.000
Rb2 0.250 0.250 0.250
Bi1 0.000 0.000 0.500
F1 0.000 0.000 0.270
```

Record 4
VASP calculation (PBE-GGA) on Rb2BiF5 after structural relaxation.

Computed properties:
The electronic total energy comes out at -145.0 eV/cell. The calculated formation energy comes out at -23.13 eV/f.u. The calculation puts the total energy after the MP2020 corrections at -154.2 eV per cell.

```
data_Rb2BiF5
_space_group_name_H-M_alt 'P n m a'
_space_group_IT_number 62
_cell_length_a 8.420
_cell_length_b 6.533
_cell_length_c 12.656
_cell_angle_alpha 90.00
_cell_angle_beta 90.00
_cell_angle_gamma 90.00
loop_
_space_group_symop_operation_xyz
'x,y,z'
'-x,-y,-z'
'-x+1/2,-y,z+1/2'
'x+1/2,y,-z+1/2'
'x+1/2,-y+1/2,-z+1/2'
'-x+1/2,y+1/2,z+1/2'
'-x,y+1/2,-z'
'x,-y+1/2,z'
loop_
_atom_site_label
_atom_site_fract_x
_atom_site_fract_y
'''
-- The entry goes on --

It is probable one of the reasons for the minister's sharp reaction was the fact the coalition had previously agreed that the registered partnership act would neither be repealed nor its implementing provisions passed. The social democrats supported the law, while IRL was against it. Centrists voted both ways and have later blocked the implementing provisions from reaching the floor.

Postimees' information suggests the decision to suspend the act in limbo so to speak was revisited in May when Helir-Valdor Seeder came to head IRL. While Seeder is a passionate opponent of the law, he consented to leave the matter be in the interests of the coalition's health.

Between two parts of the text: materials data.
-- begin --
(1)
Entry from Materials Project: a geometry-optimized TmNiPb structure (GGA-PBE).

Geometry as CIF:
```
data_TmNiPb
_space_group_name_H-M_alt 'P 1'
_space_group_IT_number 1
_space_group_name_Hall 'P 1'
_cell_length_a 7.103
_cell_length_b 4.388
_cell_length_c 8.057
_cell_angle_alpha 90.00
_cell_angle_beta 90.00
_cell_angle_gamma 90.00
loop_
_atom_site_label
_atom_site_fract_x
_atom_site_fract_y
_atom_site_fract_z
Tm1 0.013 0.250 0.188
Tm2 0.487 0.750 0.688
Tm3 0.513 0.250 0.312
Tm4 0.987 0.750 0.812
Ni1 0.234 0.750 0.395
Ni2 0.266 0.250 0.895
Ni3 0.734 0.750 0.105
Ni4 0.766 0.250 0.605
Pb1 0.173 0.250 0.575
Pb2 0.327 0.750 0.075
Pb3 0.673 0.250 0.925
Pb4 0.827 0.750 0.425
```

Calculated volume in A^3/atom: 20.93
DFT formation energy in eV per atom: -0.39
Total magnetic moment in μB per formula unit: 0.000

---

(2)
Entry from Materials Project: a geometry-optimized YSbPb2O6 structure (GGA-PBE).

Geometry as CIF:
```
data_YSbPb2O6
_space_group_name_H-M_alt 'P 1'
_space_group_IT_number 1
_space_group_name_Hall 'P 1'
_cell_length_a 5.885
_cell_length_b 5.885
_cell_length_c 6.006
_cell_angle_alpha 119.84
_cell_angle_beta 119.84
_cell_angle_gamma 60.30
loop_
_atom_site_label
_atom_site_fract_x
_atom_site_fract_y
_atom_site_fract_z
Y1 0.000 0.000 0.000
Sb1 0.500 0.500 0.500
Pb1 0.246 0.246 0.727
Pb2 0.754 0.754 0.273
O1 0.213 0.694 0.685
O2 0.266 0.266 0.191
O3 0.306 0.787 0.315
O4 0.694 0.213 0.685
O5 0.734 0.734 0.809
O6 0.787 0.306 0.315
```

Calculated volume in A^3/atom: 14.78
Energy with MP2020 corrections in eV per atom: -7.057
DFT formation energy in eV per atom: -2.29
E above lowest polymorph in kJ per mole of atoms: 0.7
Total magnetic moment in μB per formula unit: 0.000

---

(3)
Entry from Materials Project: a geometry-optimized ThAl20V2 structure (GGA-PBE).

Geometry as CIF:
```
data_ThAl20V2
_space_group_name_H-M_alt 'P 1'
_space_group_IT_number 1
_space_group_name_Hall 'P 1'
_cell_length_a 10.297
_cell_length_b 10.297
_cell_length_c 10.297
_cell_angle_alpha 60.00
_cell_angle_beta 60.00
_cell_angle_gamma 60.00
loop_
_atom_site_label
_atom_site_fract_x
_atom_site_fract_y
_atom_site_fract_z
Th1 0.125 0.125 0.125
Th2 0.875 0.875 0.875
Al1 0.000 0.000 0.000
Al2 0.000 0.000 0.500
Al3 0.000 0.500 0.000
Al4 0.056 0.326 0.326
Al5 0.056 0.326 0.792
Al6 0.056 0.792 0.326
Al7 0.208 0.674 0.674
Al8 0.208 0.674 0.944
Al9 0.208 0.944 0.674
Al10 0.239 0.239 0.511
Al11 0.239 0.511 0.239
Al12 0.239 0.511 0.511
Al13 0.326 0.056 0.326
Al14 0.326 0.056 0.792
Al15 0.326 0.326 0.056
Al16 0.326 0.326 0.792
Al17 0.326 0.792 0.056
Al18 0.326 0.792 0.326
Al19 0.489 0.489 0.761
Al20 0.489 0.761 0.489
Al21 0.489 0.761 0.761
Al22 0.500 0.000 0.000
Al23 0.511 0.239 0.239
Al24 0.511 0.239 0.511
Al25 0.511 0.511 0.239
Al26 0.674 0.208 0.674
Al27 0.674 0.208 0.944
Al28 0.674 0.674 0.208
Al29 0.674 0.674 0.944
Al30 0.674 0.944 0.208
Al31 0.674 0.944 0.674
Al32 0.761 0.489 0.489
Al33 0.761 0.489 0.761
Al34 0.761 0.761 0.489
Al35 0.792 0.056 0.326
Al36 0.792 0.326 0.056
-- stop --

Reinsalu wished to attract attention knowing the government would not approve EKRE's bill to repeal the act. Hence his reply to Mikser's comment. «At first it was claimed the act would regulate the relationships of 100,000 couples in open marriages. It is not true. Then it was claimed it would not concern adoption of the children of third persons. Also not true. Next it was said the law has nothing to do with marriage. Again, not true, as the spirit of the law was to introduce the concept of a parallel marriage into the legal order,» Reinsalu said.
